All posts by Daniela

About Daniela

Daniela is the Teen Advocate Librarian for Vaughan Public Libraries.  |  Meet the team

Down-to-Read with Daniela: Repairing Rainbows by Lynda Fishman

Age Group:

Autobiography, Canadian, Non-Fiction, Mental Health, Psychology

July 5, 1970. A day that would change 13 year-old Lynda and her family forever. A fatal plane crash kills Lynda’s mother and two younger sisters. What follows is the true story of how Lynda, her father and the rest of Lynda’s family deal with the grief and despair of its aftermath. Consumed with sorrow, Lynda struggles to hold herself together and deal with her distraught father. Healing is a slow process for Lynda and things only get more difficult when her father remarries. Throughout it all, Lynda hangs on to life with hope, determination and the keen sense that “[w]e always have choices.”

My Thoughts:
A story more remarkable and suspenseful than any blockbuster movie out there! What Lynda had to endure was horrific. Lynda’s family and friends truly came together to help and protect her. Their solidarity and dedication gave Lynda the will to go on and pursue her dreams.

Check out Zee’s review too!

Borrow Repairing Rainbows from your local Vaughan library today!

Down-to-Read with Daniela: Lucky by Alice Sebold

Age Group:

Autobiography, Memoir, Non-Fiction, Psychology, American

Alice Sebold, author of The Lovely Bones, shares her remarkable true story of rape and its aftermath, a trauma that clung to her throughout her young adult years. Sebold’s honest, forthright account of the experience is as unsettling as it is compelling. Only 19 years old at the time of the rape, Sebold’s response to the violent crime reveals a strength and determination well beyond her years.

Diffraction record for ZnB2C8N8. The PXRD pattern is simulated, not measured: it uses a DFT-relaxed cell (PBE, Alexandria) and Cu Ka.

Lattice parameters (Å, degrees): 7.5678 7.5678 6.3659 90.00 90.00 120.00
Space group P-3m1 (No. 164)
Symmetry-distinct sites (fractional):
Zn  0.0000  0.0000  0.0000
B  0.3333  0.6667  0.3325
C  0.2194  0.4389  0.2463
C  0.3333  0.6667  0.5808
N  0.1361  0.2722  0.1849
N  0.3333  0.6667  0.7638

Most intense lines, 2θ = 10–90°, sorted by position:
6.554 Å, I = 30, hkl 1 0 0; 6.366 Å, I = 20, hkl 0 0 1; 4.566 Å, I = 100, hkl 0 1 1; 3.784 Å, I = 43, hkl 1 1 0; 2.914 Å, I = 50, hkl 0 2 1; 2.863 Å, I = 15, hkl 0 1 2; 2.309 Å, I = 18, hkl 1 2 1; 2.283 Å, I = 26, hkl 0 2 2; 1.955 Å, I = 8, hkl 1 2 2; 1.892 Å, I = 12, hkl 2 2 0; 1.748 Å, I = 11, hkl 1 3 1; 1.578 Å, I = 8, hkl 1 3 2



Diffraction record for LaPm2Y2Er. The PXRD pattern is simulated, not measured: it uses a DFT-relaxed cell (PBE, Alexandria) and Cu Ka.

Lattice parameters (Å, degrees): 7.108 5.725 9.857 90.00 90.00 90.00
Space group Pmma (No. 51)
Symmetry-distinct sites (fractional):
La  0.000  0.000  0.000
Pm  0.250  0.000  0.336
Pm  0.250  0.500  0.828
Y  0.000  0.500  0.500
Y  0.250  0.000  0.665
Er  0.250  0.500  0.168

Most intense lines, 2θ = 10–90°, sorted by position:
3.554 Å, I = 12, hkl 2 0 0; 2.886 Å, I = 100, hkl 2 0 2; 2.863 Å, I = 39, hkl 0 2 0; 2.850 Å, I = 77, hkl 0 1 3; 2.223 Å, I = 13, hkl 2 1 3; 2.031 Å, I = 25, hkl 2 2 2; 2.025 Å, I = 12, hkl 2 0 4; 1.657 Å, I = 13, hkl 2 3 1; 1.652 Å, I = 25, hkl 2 1 5; 1.650 Å, I = 15, hkl 0 3 3; 1.509 Å, I = 33, hkl 4 2 0; 1.209 Å, I = 11, hkl 4 3 3



Diffraction record for Rb7Na. The PXRD pattern is simulated, not measured: it uses a DFT-relaxed cell (PBE, Alexandria) and Cu Ka.

Lattice parameters (Å, degrees): 7.7775 7.7775 37.8824 90.00 90.00 120.00
Space group R-3m (No. 166, hexagonal axes)
Symmetry-distinct sites (fractional):
Rb  0.0000  0.0000  0.0000
Rb  0.0000  0.0000  0.1315
Rb  0.0000  0.0000  0.2529
Rb  0.0000  0.0000  0.3841
Na  0.0000  0.0000  0.5000

Most intense lines, 2θ = 10–90°, sorted by position:
4.218 Å, I = 5, hkl 1 0 7; 3.882 Å, I = 100, hkl 1 1 0; 2.744 Å, I = 19, hkl 2 0 8; 2.243 Å, I = 33, hkl 3 0 0; 2.234 Å, I = 8, hkl 1 0 16; 2.118 Å, I = 5, hkl 1 1 15; 1.944 Å, I = 7, hkl 2 2 0; 1.937 Å, I = 5, hkl 0 2 16; 1.738 Å, I = 9, hkl 3 1 8; 1.734 Å, I = 7, hkl 2 1 16; 1.469 Å, I = 11, hkl 4 1 0; 1.467 Å, I = 4, hkl 1 3 16



Diffraction record for Cd5GaHg5. The PXRD pattern is simulated, not measured: it uses a DFT-relaxed cell (PBE, Alexandria) and Cu Ka.

Lattice parameters (Å, degrees): 6.007 6.213 8.025 110.28 102.53 94.42
Space group P-1 (No. 2)
Symmetry-distinct sites (fractional):
Cd  0.000  0.000  0.000
Cd  0.183  0.071  0.687
Cd  0.263  0.556  0.630
Ga  0.500  0.000  0.000
Hg  0.138  0.543  0.216
Hg  0.345  0.101  0.362
Hg  0.500  0.500  0.000

Most intense lines, 2θ = 10–90°, sorted by position:
# The data records stop here

My Thoughts:
This is the first memoir I’ve read about rape and its subsequent effects on a person’s quality of a life. It was interesting to read about it from a well known author whose novel The Lovely Bones also contains a rape scene. Sebold’s description of her rape is shocking and enraging, and her bold attempts to recover can only be described as tenacious acts of bravery.

Borrow Lucky from your local Vaughan library today!

For a high intensity fiction read, try The Lovely Bones, a chilling story of a young girl’s murder told from her perspective in heaven. Watch the movie too!

Down-to-Read with Daniela: On Parade by Rob Laidlaw

Full Title:
On Parade: the hidden world of animals in entertainment

Age Group:
All ages

Non-Fiction, Animal Welfare, Canadian, History

On Parade explores the ways that animals are used for entertainment purposes. From circuses and movie stars, to rodeos and swim with the dolphin programs, the manipulation of animals is prolific. Through years of extensive research, Laidlaw compiles a short and accessible child’s book for animal loving children who want to make a difference in the lives of animals.

My Thoughts:
Given to me by a friend, I finished this book up in just a few hours. I thought I knew a lot about animal welfare issues, but this book opened up my eyes to the lesser known plight of animals in entertainment. Laidlaw’s use of pictures is also captivating, especially given that many of them are taken by Laidlaw himself and his organization Zoocheck.

This book would be a suitable choice for socially conscious parents and their children to read together. Knowledge is power and with this knowledge children will be able to make decisions that support the positive treatment of animals.

Borrow On Parade: the hidden world of animals in entertainment from you local Vaughan library today!